• To do:
Count the lines underneath that contain the word "orthorhombic" and give the number alone.

• File:
+++
A relaxed ZrV6 crystal. Source: Alexandria via LeMat-Bulk, functional PBE.

Properties
Formation energy: 0.14 eV per atom
D(E_F): 9.43 states/eV/f.u.
Crystal system: orthorhombic
DFT total energy: -8.8949 eV/atom
M_tot: 0.00 μB per atom

The structure in CIF format:
```
data_ZrV6
_symmetry_space_group_name_H-M 'P n m a'
_symmetry_Int_Tables_number 62
_cell_length_a 8.2967
_cell_length_b 5.1525
_cell_length_c 9.9973
_cell_angle_alpha 90.00
_cell_angle_beta 90.00
_cell_angle_gamma 90.00
loop_
_symmetry_equiv_pos_as_xyz
'x,y,z'
'-x,-y,-z'
'-x+1/2,-y,z+1/2'
'x+1/2,y,-z+1/2'
'x+1/2,-y+1/2,-z+1/2'
'-x+1/2,y+1/2,z+1/2'
'-x,y+1/2,-z'
'x,-y+1/2,z'
loop_
_atom_site_label
_atom_site_type_symbol
_atom_site_fract_x
_atom_site_fract_y
_atom_site_fract_z
Zr1 Zr 0.2489 0.2500 0.0730
V1 V 0.0476 0.7500 0.0888
V2 V 0.0622 0.0091 0.3109
V3 V 0.1012 0.2500 0.5154
V4 V 0.1373 0.7500 0.8712
V5 V 0.1929 0.2500 0.7484
```

A relaxed Hf4Bi3Te crystal. Source: Alexandria via LeMat-Bulk, functional PBE.

Properties
Uncorrected formation energy: -0.326 eV/atom
D(E_F): 4.13 states/eV/f.u.
Crystal system: orthorhombic
DFT total energy: -7.1507 eV/atom
M_tot: 0.00 μB per atom

The structure in CIF format:
```
data_Hf4Bi3Te
_symmetry_space_group_name_H-M 'P m m n'
_symmetry_Int_Tables_number 59
_cell_length_a 5.3523
_cell_length_b 10.7073
_cell_length_c 7.4295
_cell_angle_alpha 90.00
_cell_angle_beta 90.00
_cell_angle_gamma 90.00
loop_
_symmetry_equiv_pos_as_xyz
'x,y,z'
'-x,-y,-z'
'-x+1/2,-y+1/2,z'
'x+1/2,y+1/2,-z'
'x+1/2,-y,-z'
'-x+1/2,y,z'
'-x,y+1/2,-z'
'x,-y+1/2,z'
loop_
_atom_site_label
_atom_site_type_symbol
_atom_site_fract_x
_atom_site_fract_y
_atom_site_fract_z
Hf1 Hf 0.2500 0.0015 0.1134
Hf2 Hf 0.2500 0.2500 0.8791
Hf3 Hf 0.2500 0.7500 0.8844
Bi1 Bi 0.2500 0.0005 0.6892
Bi2 Bi 0.2500 0.7500 0.3088
Te1 Te 0.2500 0.2500 0.2805
```

A relaxed TcN crystal. Source: Alexandria via LeMat-Bulk, functional PBE.

Properties
Uncorrected formation energy: 0.143 eV/atom
D(E_F): 1.34 states/eV/f.u.
Crystal system: hexagonal
DFT total energy: -9.2024 eV/atom
M_tot: 0.00 μB per atom

The structure in CIF format:
```
data_TcN
_symmetry_space_group_name_H-M 'P 63/m m c'
_symmetry_Int_Tables_number 194
_symmetry_space_group_name_Hall '-P 6c 2c'
_cell_length_a 2.8073
_cell_length_b 2.8073
_cell_length_c 5.7555
_cell_angle_alpha 90.00
_cell_angle_beta 90.00
_cell_angle_gamma 120.00
loop_
_atom_site_label
_atom_site_type_symbol
_atom_site_fract_x
_atom_site_fract_y
_atom_site_fract_z
Tc1 Tc 0.0000 0.0000 0.0000
N1 N 0.3333 0.6667 0.2500
```

A relaxed TlAsF2 crystal. Source: Alexandria via LeMat-Bulk, functional PBE.

Properties
Uncorrected formation energy: -0.707 eV/atom
D(E_F): 3.11 states/eV/f.u.
Crystal system: cubic
DFT total energy: -3.3965 eV/atom
M_tot: 0.39 μB per atom

The structure in CIF format:
```
data_TlAsF2
_symmetry_space_group_name_H-M 'F m -3 m'
_symmetry_Int_Tables_number 225
_symmetry_space_group_name_Hall '-F 4 2 3'
_cell_length_a 6.4932
_cell_length_b 6.4932
_cell_length_c 6.4932
_cell_angle_alpha 90.00
_cell_angle_beta 90.00
_cell_angle_gamma 90.00
loop_
_atom_site_label
_atom_site_type_symbol
_atom_site_fract_x
_atom_site_fract_y
_atom_site_fract_z
Tl1 Tl 0.0000 0.0000 0.0000
As1 As 0.0000 0.0000 0.5000
F1 F 0.2500 0.2500 0.2500
```

A relaxed La2PaBi5 crystal. Source: Alexandria via LeMat-Bulk, functional PBE.

Properties
Formation energy: -0.48 eV per atom
D(E_F): 6.08 states/eV/f.u.
Crystal system: tetragonal
DFT total energy: -5.3294 eV/atom
M_tot: 0.08 μB per atom

The structure in CIF format:
```
data_La2PaBi5
_symmetry_space_group_name_H-M 'I 4/m m m'
_symmetry_Int_Tables_number 139
_symmetry_space_group_name_Hall '-I 4 2'
_cell_length_a 8.3932
_cell_length_b 8.3932
_cell_length_c 6.9973
_cell_angle_alpha 90.00
_cell_angle_beta 90.00
_cell_angle_gamma 90.00
loop_
_atom_site_label
_atom_site_type_symbol
_atom_site_fract_x
_atom_site_fract_y
_atom_site_fract_z
La1 La 0.0000 0.5000 0.0000
Pa1 Pa 0.0000 0.0000 0.0000
+++

• Response:
2